File >
=====
Record 1
NiOF: optimized geometry, PBE+U.

Output
Space-group type: P4/mmm, No. 123
Formation enthalpy at 0 K (eV/atom): -1.2052
Magnetization (Bohr magnetons per cell): 2.616
Energy (eV per atom): -4.189

Lattice parameters (Å, degrees): 2.8846 2.8846 3.8506 90.00 90.00 90.00
Last column: nearest neighbours and their distance in Å.
Fractional positions:
Ni: 0.0000 0.0000 0.0000  2 F 1.93, 4 O 2.04
O: 0.5000 0.5000 0.0000  4 Ni 2.04
F: 0.0000 0.0000 0.5000  2 Ni 1.93

=====

Record 2
Ni3OF5: optimized geometry, PBE+U.

Output
Space-group type: C2/m, No. 12
Formation enthalpy at 0 K (eV/atom): -1.9923
Magnetization (Bohr magnetons per cell): 14.000
Energy (eV per atom): -4.352

Lattice parameters (Å, degrees): 5.6270 5.6270 7.2844 72.79 72.79 73.14
Last column: nearest neighbours and their distance in Å.
Fractional positions:
Ni: 0.3346 0.3346 0.1658  6 F 2.00-2.03
Ni: 0.3244 0.3244 0.6631  1 O 1.97, 5 F 2.03-2.06
Ni: 0.0000 0.0000 0.0000  2 O 2.00, 4 F 2.03-2.04
Ni: 0.0000 0.0000 0.5000  2 O 1.98, 4 F 2.05
Ni: 0.6654 0.6654 0.8342  6 F 2.00-2.03
Ni: 0.6756 0.6756 0.3369  1 O 1.97, 5 F 2.03-2.06
O: 0.9036 0.9036 0.2956  3 Ni 1.97-2.00
O: 0.0964 0.0964 0.7044  3 Ni 1.97-2.00
F: 0.6316 0.0266 0.6646  3 Ni 2.03-2.05
F: 0.3038 0.6962 0.0000  3 Ni 2.02-2.04
F: 0.2335 0.2335 0.9637  3 Ni 2.00-2.04
F: 0.5594 0.5594 0.6345  3 Ni 2.02-2.06
F: 0.4406 0.4406 0.3655  3 Ni 2.02-2.06
F: 0.7665 0.7665 0.0363  3 Ni 2.00-2.04
F: 0.3684 0.9734 0.3354  3 Ni 2.03-2.05
F: 0.0266 0.6316 0.6646  3 Ni 2.03-2.05
F: 0.6962 0.3038 0.0000  3 Ni 2.02-2.04
F: 0.9734 0.3684 0.3354  3 Ni 2.03-2.05

=====

Record 3
Ni6OF11: optimized geometry, PBE+U.

Output
Space-group type: Amm2, No. 38
Formation enthalpy at 0 K (eV/atom): -2.1538
Magnetization (Bohr magnetons per cell): 13.001
Energy (eV per atom): -4.358

Lattice parameters (Å, degrees): 10.5372 10.5372 3.0893 90.00 90.00 143.35
Last column: nearest neighbours and their distance in Å.
Fractional positions:
Ni: 0.0035 0.0035 0.0000  1 O 2.01, 5 F 2.03
Ni: 0.4922 0.4922 0.5000  2 O 1.97, 4 F 2.03-2.06
Ni: 0.6676 0.3335 0.0000  6 F 2.01-2.02
Ni: 0.1663 0.8332 0.5000  6 F 2.01-2.02
Ni: 0.8332 0.1663 0.5000  6 F 2.01-2.02
Ni: 0.3335 0.6676 0.0000  6 F 2.01-2.02
O: 0.3065 0.3065 0.0000  3 Ni 1.97-2.01
F: 0.3633 0.0301 0.0000  3 Ni 2.01-2.02
F: 0.6973 0.6973 0.0000  3 Ni 2.03-2.06
F: 0.6015 0.3983 0.5000  3 Ni 2.02-2.03
F: 0.7323 0.2677 0.5000  3 Ni 2.02
F: 0.0657 0.9337 0.5000  3 Ni 2.01-2.03
F: 0.9706 0.6366 0.0000  3 Ni 2.01-2.02
F: 0.0301 0.3633 0.0000  3 Ni 2.01-2.02
F: 0.2677 0.7323 0.5000  3 Ni 2.02
F: 0.9337 0.0657 0.5000  3 Ni 2.01-2.03
F: 0.3983 0.6015 0.5000  3 Ni 2.02-2.03
F: 0.6366 0.9706 0.0000  3 Ni 2.01-2.02

=====

Record 4
Ni3OF5: optimized geometry, PBE+U.

Output
Space-group type: P1, No. 1
Formation enthalpy at 0 K (eV/atom): -1.9959
Magnetization (Bohr magnetons per cell): 14.003
Energy (eV per atom): -4.356

Lattice parameters (Å, degrees): 4.6897 5.6229 7.7621 93.75 90.00 90.00
Last column: nearest neighbours and their distance in Å.
Fractional positions:
Ni: 0.4967 0.4922 0.0003  1 O 1.98, 5 F 2.02-2.06
Ni: 0.5038 0.8349 0.3307  6 F 2.00-2.04
Ni: 0.4820 0.1717 0.6696  2 O 1.95-1.96, 4 F 2.02-2.06
Ni: 0.0061 0.3312 0.3404  1 O 1.97, 5 F 2.02-2.05
Ni: 0.0058 0.6613 0.6648  1 O 1.97, 5 F 2.01-2.06
Ni: 0.0087 0.0060 0.9954  1 O 1.96, 5 F 2.03-2.06
O: 0.1946 0.3698 0.5672  3 Ni 1.95-1.97
O: 0.3031 0.2039 0.8983  3 Ni 1.96-1.98
F: 0.1958 0.0342 0.2325  3 Ni 2.01-2.04
F: 0.1976 0.7016 0.8988  3 Ni 2.02-2.03
F: 0.3026 0.5362 0.2324  3 Ni 2.02-2.03
F: 0.3034 0.8685 0.5641  3 Ni 2.01-2.04
F: 0.6931 0.1328 0.4380  3 Ni 2.02-2.05
F: 0.6994 0.4643 0.7681  3 Ni 2.01-2.04
F: 0.6981 0.7978 0.0961  3 Ni 2.03-2.06
F: 0.8021 0.9644 0.7640  3 Ni 2.04-2.06
F: 0.8063 0.2977 0.1057  3 Ni 2.02-2.05
F: 0.8008 0.6314 0.4335  3 Ni 2.00-2.03

=====

Record 5
Ni3OF5: optimized geometry, PBE+U.

Output
Space-group type: C2/m, No. 12
Formation enthalpy at 0 K (eV/atom): -1.9957
=====

Job >
Next, reproduce every line further above that contains the word "Lattice".

Completed >
Lattice parameters (Å, degrees): 2.8846 2.8846 3.8506 90.00 90.00 90.00
Lattice parameters (Å, degrees): 5.6270 5.6270 7.2844 72.79 72.79 73.14
Lattice parameters (Å, degrees): 10.5372 10.5372 3.0893 90.00 90.00 143.35
Lattice parameters (Å, degrees): 4.6897 5.6229 7.7621 93.75 90.00 90.00